== Brief ==
Echo the whole of the notes underneath unchanged.

== Material ==
+++
This entry pairs a crystal structure of Rb2U5P4O28 with its simulated XRD peak list. Radiation: Cu Kα X-rays. Structure: a PBE-relaxed structure.
Lines closer than 0.1° are merged.

Structure:
abc: 13.188 15.880 9.516
angles: 90.00 132.75 90.00
Space group Cm (No. 8)
Inequivalent atoms, fractional coordinates:
Rb 0.000 0.000 0.000
Rb 0.063 0.500 0.004
U 0.060 0.000 0.523
U 0.246 0.226 0.230
U 0.347 0.267 0.736
P 0.015 0.187 0.249
P 0.080 0.218 0.717
O 0.093 0.133 0.654
O 0.095 0.209 0.894
O 0.152 0.000 0.833
O 0.167 0.220 0.411
O 0.184 0.280 0.754
O 0.198 0.500 0.840
O 0.205 0.337 0.192
O 0.236 0.000 0.623
O 0.275 0.114 0.258
O 0.319 0.376 0.667
O 0.384 0.500 0.421
O 0.389 0.159 0.817
O 0.415 0.252 0.229
O 0.429 0.247 0.564
O 0.498 0.307 0.068
O 0.498 0.404 0.281

The 10 most intense peaks (2θ from 15° to 90°), by angle:
2θ/deg, Rel. int., (hkl)
17.48, 51, 2 2 -1
18.68, 74, 2 0 -2
19.19, 39, 1 3 -1
21.49, 88, 2 2 0
22.39, 75, 0 4 0
27.90, 100, 0 2 2
29.33, 56, 2 4 -2
29.74, 33, 4 0 -1
32.28, 34, 4 2 -3
40.88, 30, 2 0 2

=====

# BaScCu2I8
Simulated powder X-ray diffraction pattern, CuKα. Input: DFT lattice parameters and positions (GGA-PBE).

Largest 12 diffraction maxima, by angle, 10° ≤ 2θ ≤ 90°:
23.11 deg, rel. 39.2
23.45 deg, rel. 46.3
25.00 deg, rel. 29.2
26.42 deg, rel. 95.9
27.84 deg, rel. 18.4
28.15 deg, rel. 100.0
30.13 deg, rel. 38.7
35.97 deg, rel. 27.4
41.50 deg, rel. 38.9
41.91 deg, rel. 47.8
44.16 deg, rel. 26.9
45.38 deg, rel. 18.1

Cell and atoms:
Cell: 11.866 8.204 9.988 Å, 90.00 90.84 90.00°
Space group C2/m (No. 12)
Symmetry-distinct sites (fractional):
1 Ba 0.000 0.000 0.000 (multiplicity 2)
2 Sc 0.000 0.000 0.500 (multiplicity 2)
3 Cu 0.146 0.500 0.272 (multiplicity 4)
4 I 0.000 0.249 0.291 (multiplicity 8)
5 I 0.208 0.500 0.029 (multiplicity 4)
6 I 0.241 0.000 0.507 (multiplicity 4)

=====

This entry pairs a crystal structure of F with its calculated powder diffractogram. Radiation: Cu Kα (weighted mean of Kα1 and Kα2). Structure: DFT lattice parameters and positions (PBE).

Peak list (10 most intense, 5° ≤ 2θ ≤ 70°, by angle)
hkl 0 0 2, 2θ 30.46, intensity 92; hkl 2 0 0, 2θ 32.14, intensity 100; hkl 2 0 -2, 2θ 38.94, intensity 48; hkl 1 1 -2, 2θ 41.62, intensity 15; hkl 1 1 2, 2θ 47.27, intensity 15; hkl 2 0 2, 2θ 50.24, intensity 15; hkl 0 2 0, 2θ 56.11, intensity 13; hkl 0 2 2, 2θ 65.19, intensity 11; hkl 2 2 0, 2θ 66.15, intensity 15; hkl 4 0 -2, 2θ 67.22, intensity 13

Crystal structure
```
data_F
_cell_length_a 5.7344
_cell_length_b 3.2784
_cell_length_c 6.0415
_cell_angle_alpha 90.00
_cell_angle_beta 103.74
_cell_angle_gamma 90.00
_symmetry_space_group_name_H-M 'C 1 2/c 1'
_symmetry_Int_Tables_number 15
_symmetry_space_group_name_Hall '-C 2yc'
loop_
_atom_site_label
_atom_site_type_symbol
_atom_site_fract_x
_atom_site_fract_y
_atom_site_fract_z
F1 F 0.2400 0.0272 0.2105
```

=====

1.
Computed powder XRD pattern
Compound: KMgNi2H3Se2O10
Radiation: a wavelength of 1.5418 Å
Structure: a GGA+U-relaxed structure
Intensities are scaled so that the largest is 100.

The 10 most intense peaks (2θ from 15° to 90°), most intense first:
h k l	2θ/deg	d/Å	I (rel.)
1 -1 2	30.4	2.943	100.0
1 0 -2	25.1	3.546	49.9
-1 1 1	22.0	4.032	48.7
2 -1 0	30.7	2.914	35.7
0 2 -1	33.0	2.717	32.6
-1 1 2	31.3	2.858	29.6
1 -3 0	48.0	1.894	23.9
1 0 0	17.4	5.104	23.4
1 1 1	37.6	2.395	22.5
1 0 -1	17.6	5.049	19.3

Crystal structure
abc: 5.953 5.953 7.819
angles: 104.33 101.69 114.09
Space group P1 (No. 1)
One atom of each set of equivalent atoms:
K  0.000  0.000  0.000 [1 per cell]
Mg  0.918  0.395  0.313 [1 per cell]
Ni  0.467  0.550  0.524 [1 per cell]
Ni  0.974  0.057  0.523 [1 per cell]
H  0.110  0.608  0.714 [1 per cell]
H  0.301  0.554  0.854 [1 per cell]
H  0.660  0.619  0.279 [1 per cell]
Se  0.370  0.843  0.212 [1 per cell]
Se  0.594  0.201  0.794 [1 per cell]
O  0.153  0.214  0.366 [1 per cell]
O  0.207  0.509  0.715 [1 per cell]
O  0.267  0.044  0.737 [1 per cell]
O  0.268  0.693  0.364 [1 per cell]
+++

== Written answer ==
This entry pairs a crystal structure of Rb2U5P4O28 with its simulated XRD peak list. Radiation: Cu Kα X-rays. Structure: a PBE-relaxed structure.
Lines closer than 0.1° are merged.

Structure:
abc: 13.188 15.880 9.516
angles: 90.00 132.75 90.00
Space group Cm (No. 8)
Inequivalent atoms, fractional coordinates:
Rb 0.000 0.000 0.000
Rb 0.063 0.500 0.004
U 0.060 0.000 0.523
U 0.246 0.226 0.230
U 0.347 0.267 0.736
P 0.015 0.187 0.249
P 0.080 0.218 0.717
O 0.093 0.133 0.654
O 0.095 0.209 0.894
O 0.152 0.000 0.833
O 0.167 0.220 0.411
O 0.184 0.280 0.754
O 0.198 0.500 0.840
O 0.205 0.337 0.192
O 0.236 0.000 0.623
O 0.275 0.114 0.258
O 0.319 0.376 0.667
O 0.384 0.500 0.421
O 0.389 0.159 0.817
O 0.415 0.252 0.229
O 0.429 0.247 0.564
O 0.498 0.307 0.068
O 0.498 0.404 0.281

The 10 most intense peaks (2θ from 15° to 90°), by angle:
2θ/deg, Rel. int., (hkl)
17.48, 51, 2 2 -1
18.68, 74, 2 0 -2
19.19, 39, 1 3 -1
21.49, 88, 2 2 0
22.39, 75, 0 4 0
27.90, 100, 0 2 2
29.33, 56, 2 4 -2
29.74, 33, 4 0 -1
32.28, 34, 4 2 -3
40.88, 30, 2 0 2

=====

# BaScCu2I8
Simulated powder X-ray diffraction pattern, CuKα. Input: DFT lattice parameters and positions (GGA-PBE).

Largest 12 diffraction maxima, by angle, 10° ≤ 2θ ≤ 90°:
23.11 deg, rel. 39.2
23.45 deg, rel. 46.3
25.00 deg, rel. 29.2
26.42 deg, rel. 95.9
27.84 deg, rel. 18.4
28.15 deg, rel. 100.0
30.13 deg, rel. 38.7
35.97 deg, rel. 27.4
41.50 deg, rel. 38.9
41.91 deg, rel. 47.8
44.16 deg, rel. 26.9
45.38 deg, rel. 18.1

Cell and atoms:
Cell: 11.866 8.204 9.988 Å, 90.00 90.84 90.00°
Space group C2/m (No. 12)
Symmetry-distinct sites (fractional):
1 Ba 0.000 0.000 0.000 (multiplicity 2)
2 Sc 0.000 0.000 0.500 (multiplicity 2)
3 Cu 0.146 0.500 0.272 (multiplicity 4)
4 I 0.000 0.249 0.291 (multiplicity 8)
5 I 0.208 0.500 0.029 (multiplicity 4)
6 I 0.241 0.000 0.507 (multiplicity 4)

=====

This entry pairs a crystal structure of F with its calculated powder diffractogram. Radiation: Cu Kα (weighted mean of Kα1 and Kα2). Structure: DFT lattice parameters and positions (PBE).

Peak list (10 most intense, 5° ≤ 2θ ≤ 70°, by angle)
hkl 0 0 2, 2θ 30.46, intensity 92; hkl 2 0 0, 2θ 32.14, intensity 100; hkl 2 0 -2, 2θ 38.94, intensity 48; hkl 1 1 -2, 2θ 41.62, intensity 15; hkl 1 1 2, 2θ 47.27, intensity 15; hkl 2 0 2, 2θ 50.24, intensity 15; hkl 0 2 0, 2θ 56.11, intensity 13; hkl 0 2 2, 2θ 65.19, intensity 11; hkl 2 2 0, 2θ 66.15, intensity 15; hkl 4 0 -2, 2θ 67.22, intensity 13

Crystal structure
```
data_F
_cell_length_a 5.7344
_cell_length_b 3.2784
_cell_length_c 6.0415
_cell_angle_alpha 90.00
_cell_angle_beta 103.74
_cell_angle_gamma 90.00
_symmetry_space_group_name_H-M 'C 1 2/c 1'
_symmetry_Int_Tables_number 15
_symmetry_space_group_name_Hall '-C 2yc'
loop_
_atom_site_label
_atom_site_type_symbol
_atom_site_fract_x
_atom_site_fract_y
_atom_site_fract_z
F1 F 0.2400 0.0272 0.2105
```

=====

1.
Computed powder XRD pattern
Compound: KMgNi2H3Se2O10
Radiation: a wavelength of 1.5418 Å
Structure: a GGA+U-relaxed structure
Intensities are scaled so that the largest is 100.

The 10 most intense peaks (2θ from 15° to 90°), most intense first:
h k l	2θ/deg	d/Å	I (rel.)
1 -1 2	30.4	2.943	100.0
1 0 -2	25.1	3.546	49.9
-1 1 1	22.0	4.032	48.7
2 -1 0	30.7	2.914	35.7
0 2 -1	33.0	2.717	32.6
-1 1 2	31.3	2.858	29.6
1 -3 0	48.0	1.894	23.9
1 0 0	17.4	5.104	23.4
1 1 1	37.6	2.395	22.5
1 0 -1	17.6	5.049	19.3

Crystal structure
abc: 5.953 5.953 7.819
angles: 104.33 101.69 114.09
Space group P1 (No. 1)
One atom of each set of equivalent atoms:
K  0.000  0.000  0.000 [1 per cell]
Mg  0.918  0.395  0.313 [1 per cell]
Ni  0.467  0.550  0.524 [1 per cell]
Ni  0.974  0.057  0.523 [1 per cell]
H  0.110  0.608  0.714 [1 per cell]
H  0.301  0.554  0.854 [1 per cell]
H  0.660  0.619  0.279 [1 per cell]
Se  0.370  0.843  0.212 [1 per cell]
Se  0.594  0.201  0.794 [1 per cell]
O  0.153  0.214  0.366 [1 per cell]
O  0.207  0.509  0.715 [1 per cell]
O  0.267  0.044  0.737 [1 per cell]
O  0.268  0.693  0.364 [1 per cell]